Listing:
# 1
# C22H35BrMgO2P2

A molecular structure, C22H35BrMgO2P2 at a distorted geometry (ωB97M-V with the def2-TZVPD basis set, the OMol25 dataset).

Last column: Mulliken charge in e.
Atoms and positions in Å:
P: 0.2022 -1.8339 -4.0658  0.886
P: 0.1210 1.2420 -3.9657  0.886
C: -0.1492 -0.9586 -5.6802  -1.153
C: 0.3702 0.4711 -5.6510  -1.175
H: -1.2330 -0.9821 -5.8596  0.454
H: 0.3170 -1.5201 -6.5020  0.472
H: 1.4406 0.5088 -5.8978  0.459
H: -0.1449 1.0824 -6.4051  0.474
C: -1.4719 2.0748 -4.3981  -1.478
H: -1.7041 2.8056 -3.6183  0.376
H: -2.2747 1.3328 -4.4539  0.338
H: -1.3809 2.5857 -5.3639  0.447
C: 1.2205 2.6785 -4.2835  -1.433
H: 0.9665 3.1716 -5.2293  0.392
H: 2.2583 2.3318 -4.3278  0.372
H: 1.1130 3.3916 -3.4612  0.393
C: -0.8927 -3.2665 -4.4026  -1.414
H: -0.7109 -4.0289 -3.6384  0.399
H: -0.6981 -3.6901 -5.3958  0.390
H: -1.9358 -2.9367 -4.3465  0.360
C: 1.7724 -2.6170 -4.6591  -1.468
H: 2.5644 -1.8660 -4.7228  0.351
H: 1.6218 -3.0653 -5.6467  0.422
H: 2.0657 -3.3941 -3.9501  0.385
Mg: -0.5592 -0.4556 2.9151  0.889
C: 0.7125 1.1678 0.7065  -0.428
C: -0.6367 1.0923 0.6133  -0.771
C: -1.4014 0.2614 -0.3673  0.451
C: -1.7670 -1.2336 -0.0398  -0.813
C: -0.7345 -2.1144 0.5869  -0.751
C: 0.5945 -2.0212 0.3968  -0.274
C: 1.2560 -1.0888 -0.5586  0.660
C: 1.6748 0.3466 -0.0774  -0.806
C: 0.1479 -2.1905 3.7608  -1.592
H: 1.1627 1.8076 1.4734  0.463
H: -1.2419 1.6804 1.3215  0.602
H: -0.9250 0.2935 -1.3563  -0.686
H: -2.3754 0.7703 -0.4770  0.538
H: -2.6525 -1.2245 0.6171  0.359
H: -2.1119 -1.6681 -0.9914  0.364
H: -1.1303 -2.8033 1.3534  0.491
H: 1.2574 -2.5869 1.0641  0.334
H: 0.6382 -0.9909 -1.4614  -1.089
H: 2.1927 -1.5804 -0.8652  0.618
H: 2.5935 0.2436 0.5206  0.406
H: 1.9678 0.8935 -0.9933  0.315
H: 0.9657 -1.8533 4.4045  0.324
H: 0.4734 -3.0365 3.1305  0.413
H: -0.7236 -2.4759 4.3718  0.356
Br: 2.1943 2.9014 5.3122  -0.139
C: 0.8345 2.3211 6.4796  0.013
C: 0.9250 2.6590 7.8394  -0.466
C: -0.1035 2.3232 8.7243  -0.440
C: -1.2451 1.6418 8.2641  -0.585
C: -1.3351 1.2885 6.9216  -0.470
C: -0.2973 1.6005 6.0311  0.231
C: -0.4002 1.0441 4.6708  1.452
O: -1.5644 0.6400 4.2520  -0.951
O: 0.6376 0.8721 3.9360  -0.671
H: 1.8079 3.1930 8.1745  0.390
H: -0.0051 2.6058 9.7652  0.371
H: -2.0494 1.3964 8.9559  0.373
H: -2.2139 0.7620 6.5499  0.386

Forces on atoms 1 to 6 (eV/Å):
-0.047 -0.714 -1.083
0.078 0.763 -0.908
-0.104 -0.090 0.053
0.078 0.044 0.069
0.148 0.086 0.148
-0.209 0.017 0.152

- Energy above the lowest of the compared OMol25 structures with the same formula, charge and spin: 0.0 kJ/mol
- Molar mass: 497.68 g mol⁻¹

***

# 2
# C38H86N5O6Y

A molecular structure, C38H86N5O6Y at a distorted geometry (ωB97M-V with the def2-TZVPD basis set, the OMol25 dataset).

Last column: Mulliken charge in e.
Atoms and positions in Å:
Y: -0.8188 -4.7341 -1.8834  0.706
C: -1.3962 -1.1560 1.0481  -0.365
C: -1.0017 -1.3059 -0.4302  0.673
C: 0.3590 -0.6544 -0.5432  -0.294
O: -1.1260 -2.5888 -0.9129  -0.436
H: -0.8313 -1.7972 1.7247  -0.173
H: -2.4723 -1.2780 1.1714  -0.031
H: -1.0493 -0.1716 1.3623  0.238
H: -1.6659 -0.6255 -0.9631  0.350
H: 0.7718 -0.7921 -1.5426  0.409
H: 0.9750 -0.9305 0.3126  -0.354
H: 0.3054 0.4300 -0.4464  -0.307
C: -3.9832 -3.9049 2.7760  -0.699
C: -4.9825 -3.3787 1.7490  0.289
C: -5.7291 -2.1167 2.1054  -0.769
O: -6.5660 -1.6776 1.0706  -0.353
C: -7.6518 -0.9123 1.5696  -0.796
N: -4.2961 -3.2243 0.4456  -0.557
H: -3.7521 -4.9319 2.4932  0.046
H: -4.5144 -3.9439 3.7270  0.542
H: -3.1336 -3.2238 2.8240  -0.051
H: -5.7252 -4.1654 1.6166  0.388
H: -4.9881 -1.3230 2.2005  0.251
H: -6.2269 -2.2022 3.0713  0.463
H: -7.3161 -0.0817 2.1904  0.322
H: -8.3142 -1.5001 2.2051  0.323
H: -8.3028 -0.4839 0.8075  0.276
H: -3.6105 -2.4863 0.3733  -0.129
H: -5.0058 -2.7501 -0.0943  0.418
C: -0.9027 -5.9508 2.4933  -1.340
C: -0.6939 -5.1191 1.1686  0.956
C: 0.7573 -4.8250 0.9722  0.013
O: 0.9717 -4.6915 -0.3839  -0.317
C: 2.1705 -3.8803 -0.6301  -0.444
N: -1.1443 -5.9557 0.0796  -0.304
H: -1.9476 -6.1987 2.6800  0.484

Work order:
Give back the lines above up to the one that holds "3.0713", that line included.

Solution:
# 1
# C22H35BrMgO2P2

A molecular structure, C22H35BrMgO2P2 at a distorted geometry (ωB97M-V with the def2-TZVPD basis set, the OMol25 dataset).

Last column: Mulliken charge in e.
Atoms and positions in Å:
P: 0.2022 -1.8339 -4.0658  0.886
P: 0.1210 1.2420 -3.9657  0.886
C: -0.1492 -0.9586 -5.6802  -1.153
C: 0.3702 0.4711 -5.6510  -1.175
H: -1.2330 -0.9821 -5.8596  0.454
H: 0.3170 -1.5201 -6.5020  0.472
H: 1.4406 0.5088 -5.8978  0.459
H: -0.1449 1.0824 -6.4051  0.474
C: -1.4719 2.0748 -4.3981  -1.478
H: -1.7041 2.8056 -3.6183  0.376
H: -2.2747 1.3328 -4.4539  0.338
H: -1.3809 2.5857 -5.3639  0.447
C: 1.2205 2.6785 -4.2835  -1.433
H: 0.9665 3.1716 -5.2293  0.392
H: 2.2583 2.3318 -4.3278  0.372
H: 1.1130 3.3916 -3.4612  0.393
C: -0.8927 -3.2665 -4.4026  -1.414
H: -0.7109 -4.0289 -3.6384  0.399
H: -0.6981 -3.6901 -5.3958  0.390
H: -1.9358 -2.9367 -4.3465  0.360
C: 1.7724 -2.6170 -4.6591  -1.468
H: 2.5644 -1.8660 -4.7228  0.351
H: 1.6218 -3.0653 -5.6467  0.422
H: 2.0657 -3.3941 -3.9501  0.385
Mg: -0.5592 -0.4556 2.9151  0.889
C: 0.7125 1.1678 0.7065  -0.428
C: -0.6367 1.0923 0.6133  -0.771
C: -1.4014 0.2614 -0.3673  0.451
C: -1.7670 -1.2336 -0.0398  -0.813
C: -0.7345 -2.1144 0.5869  -0.751
C: 0.5945 -2.0212 0.3968  -0.274
C: 1.2560 -1.0888 -0.5586  0.660
C: 1.6748 0.3466 -0.0774  -0.806
C: 0.1479 -2.1905 3.7608  -1.592
H: 1.1627 1.8076 1.4734  0.463
H: -1.2419 1.6804 1.3215  0.602
H: -0.9250 0.2935 -1.3563  -0.686
H: -2.3754 0.7703 -0.4770  0.538
H: -2.6525 -1.2245 0.6171  0.359
H: -2.1119 -1.6681 -0.9914  0.364
H: -1.1303 -2.8033 1.3534  0.491
H: 1.2574 -2.5869 1.0641  0.334
H: 0.6382 -0.9909 -1.4614  -1.089
H: 2.1927 -1.5804 -0.8652  0.618
H: 2.5935 0.2436 0.5206  0.406
H: 1.9678 0.8935 -0.9933  0.315
H: 0.9657 -1.8533 4.4045  0.324
H: 0.4734 -3.0365 3.1305  0.413
H: -0.7236 -2.4759 4.3718  0.356
Br: 2.1943 2.9014 5.3122  -0.139
C: 0.8345 2.3211 6.4796  0.013
C: 0.9250 2.6590 7.8394  -0.466
C: -0.1035 2.3232 8.7243  -0.440
C: -1.2451 1.6418 8.2641  -0.585
C: -1.3351 1.2885 6.9216  -0.470
C: -0.2973 1.6005 6.0311  0.231
C: -0.4002 1.0441 4.6708  1.452
O: -1.5644 0.6400 4.2520  -0.951
O: 0.6376 0.8721 3.9360  -0.671
H: 1.8079 3.1930 8.1745  0.390
H: -0.0051 2.6058 9.7652  0.371
H: -2.0494 1.3964 8.9559  0.373
H: -2.2139 0.7620 6.5499  0.386

Forces on atoms 1 to 6 (eV/Å):
-0.047 -0.714 -1.083
0.078 0.763 -0.908
-0.104 -0.090 0.053
0.078 0.044 0.069
0.148 0.086 0.148
-0.209 0.017 0.152

- Energy above the lowest of the compared OMol25 structures with the same formula, charge and spin: 0.0 kJ/mol
- Molar mass: 497.68 g mol⁻¹

***

# 2
# C38H86N5O6Y

A molecular structure, C38H86N5O6Y at a distorted geometry (ωB97M-V with the def2-TZVPD basis set, the OMol25 dataset).

Last column: Mulliken charge in e.
Atoms and positions in Å:
Y: -0.8188 -4.7341 -1.8834  0.706
C: -1.3962 -1.1560 1.0481  -0.365
C: -1.0017 -1.3059 -0.4302  0.673
C: 0.3590 -0.6544 -0.5432  -0.294
O: -1.1260 -2.5888 -0.9129  -0.436
H: -0.8313 -1.7972 1.7247  -0.173
H: -2.4723 -1.2780 1.1714  -0.031
H: -1.0493 -0.1716 1.3623  0.238
H: -1.6659 -0.6255 -0.9631  0.350
H: 0.7718 -0.7921 -1.5426  0.409
H: 0.9750 -0.9305 0.3126  -0.354
H: 0.3054 0.4300 -0.4464  -0.307
C: -3.9832 -3.9049 2.7760  -0.699
C: -4.9825 -3.3787 1.7490  0.289
C: -5.7291 -2.1167 2.1054  -0.769
O: -6.5660 -1.6776 1.0706  -0.353
C: -7.6518 -0.9123 1.5696  -0.796
N: -4.2961 -3.2243 0.4456  -0.557
H: -3.7521 -4.9319 2.4932  0.046
H: -4.5144 -3.9439 3.7270  0.542
H: -3.1336 -3.2238 2.8240  -0.051
H: -5.7252 -4.1654 1.6166  0.388
H: -4.9881 -1.3230 2.2005  0.251
H: -6.2269 -2.2022 3.0713  0.463